## Excerpt
- - -
Molecular formula: C3H10N2O
Method: DFT, ωB97M-V with the def2-TZVPD basis set

Element x y z (Å)
C 1.150 0.513 0.376
C -1.425 -0.004 -0.664
C 0.844 0.278 1.819
N 1.045 -1.657 -0.407
N -0.940 0.609 -1.882
O 1.551 -0.404 -0.438
H 1.397 1.507 0.033
H 0.957 -1.953 0.574
H -0.645 -0.866 -0.438
H -1.643 1.192 -2.320
H -0.633 -0.096 -2.541
H -1.604 0.780 0.073
H -2.367 -0.565 -0.763
H 0.063 -0.476 1.952
H 1.736 -0.068 2.348
H 0.514 1.211 2.280

Atomic forces in eV per Å
1.497 0.075 0.563
0.659 -1.582 -0.041
-0.531 -0.131 -0.441
1.182 -1.561 -0.136
-0.002 0.323 -0.405
-1.853 1.005 0.240
0.110 0.011 -0.100
-0.171 0.470 0.056
-1.291 1.659 0.267
0.058 -0.140 -0.097
-0.077 0.113 -0.011
0.306 -0.267 0.313
-0.027 0.137 -0.082
0.026 0.037 0.031
0.081 -0.050 -0.065
0.032 -0.101 -0.092

The total energy is -304.86406 hartree. The strongest force on any atom is 2.122 eV/A. Its HOMO energy (alpha / beta) is -8.2 / -7.7 eV. The relative energy (zero: lowest compared OMol25 entry of this formula, charge and spin) comes out at 132.1 kcal/mol. The HOMO-LUMO gap (alpha / beta) is 8.7 / 7.9 eV. Its LUMO energy (alpha / beta) is 0.428 / 0.157 eV.

Here are the natural (NBO) charges for atoms 1 to 5, given in e: number 1, C, carries 0.28; number 2, C, carries -0.45; number 3, C, carries -0.73; number 4, N, carries -0.49; number 5, N, carries -0.85


Molecular formula: C13H14F3IN2O3ReS
Method: DFT, ωB97M-V with the def2-TZVPD basis set

Element x y z (Å)
C 1.267 2.638 0.824
C 2.863 1.203 0.239
H 1.837 3.434 0.395
H 1.499 2.546 1.868
H 0.226 2.581 0.584
H 2.773 0.402 -0.397
H 3.484 1.970 -0.159
H 3.132 0.954 1.238
C -2.211 1.449 -0.395
C -3.537 1.257 -0.794
C -3.864 0.113 -1.519
C -2.881 -0.801 -1.808
H -1.895 2.312 0.186
H -4.262 2.009 -0.516
H -4.875 -0.054 -1.858
H -3.052 -1.722 -2.368
N -1.255 0.554 -0.671
C -1.561 -0.561 -1.401
C -0.456 -1.482 -1.608
N 0.734 -1.095 -1.094
C 1.776 -1.953 -1.081
C 0.491 -3.596 -2.280
C 1.672 -3.200 -1.682
H 2.677 -1.583 -0.594
H 2.557 -3.836 -1.661
C -0.603 -2.738 -2.225
H -1.564 -2.973 -2.646
H 0.391 -4.555 -2.762
Re 0.940 0.998 -0.345
I 1.169 2.045 -2.583
F -0.436 0.382 4.941
C 0.426 -0.020 3.983
F 1.479 0.843 4.013
F 0.866 -1.276 4.261
S -0.338 0.034 2.283
O -1.170 -1.192 2.120
O -0.978 1.289 2.220
O 0.942 -0.003 1.451

Atomic forces in eV per Å
2.732 0.707 1.518
2.740 3.083 2.215
0.007 0.530 -0.394
-0.463 -0.032 0.479
-1.856 0.836 0.168
1.043 -2.765 -1.923
0.534 0.375 -0.419
0.052 -0.331 0.611
-0.548 -0.155 -0.066
0.665 0.031 0.164
-0.289 0.700 0.328
1.677 -0.711 -0.235
-0.346 -0.146 -0.148
-0.092 -0.094 -0.109
-0.093 -0.008 0.044
-0.361 0.474 0.208
0.476 -0.049 -0.861
-1.087 0.928 0.629
0.325 -0.995 -0.253
0.626 0.268 0.563
-0.493 0.059 -0.394
-0.583 0.419 0.064
1.031 0.146 0.475
-0.115 -0.464 -0.206
-0.332 0.059 -0.064
0.535 1.057 0.484
0.020 -0.337 -0.076
0.098 -0.137 -0.036
-5.376 -3.854 -1.973
-0.027 0.388 -0.685
0.711 -0.663 -1.526
0.643 -0.428 1.787
-0.716 -0.729 -0.330
-0.557 1.679 -0.516
-2.701 -5.087 2.065
2.513 3.167 -0.010
-0.381 1.787 -0.568
-0.016 0.293 -1.008

The total energy is -1912.01713 hartree. The strongest force on any atom is 6.903 eV/A. Its HOMO energy (alpha / beta) is -16.2 / -16.2 eV. The multiplicity is 4. The total charge is +2. The relative energy (zero: lowest compared OMol25 entry of this formula, charge and spin) comes out at 72.4 kcal/mol. The HOMO-LUMO gap (alpha / beta) is 5.4 / 5.9 eV. Its LUMO energy (alpha / beta) is -10.857 / -10.348 eV.

Here are the Löwdin charges for atoms 1 to 5, given in e: number 1, C, carries -0.11; number 2, C, carries -0.16; number 3, H, carries 0.07; number 4, H, carries 0.09; number 5, H, carries 0.01


Repeat the second record exactly.
Molecular formula: C13H14F3IN2O3ReS
Method: DFT, ωB97M-V with the def2-TZVPD basis set

Element x y z (Å)
C 1.267 2.638 0.824
C 2.863 1.203 0.239
H 1.837 3.434 0.395
H 1.499 2.546 1.868
H 0.226 2.581 0.584
H 2.773 0.402 -0.397
H 3.484 1.970 -0.159
H 3.132 0.954 1.238
C -2.211 1.449 -0.395
C -3.537 1.257 -0.794
- - -
## Assignment
The reader should transcribe the whole of the contents further above without altering anything.
## Result
Molecular formula: C3H10N2O
Method: DFT, ωB97M-V with the def2-TZVPD basis set

Element x y z (Å)
C 1.150 0.513 0.376
C -1.425 -0.004 -0.664
C 0.844 0.278 1.819
N 1.045 -1.657 -0.407
N -0.940 0.609 -1.882
O 1.551 -0.404 -0.438
H 1.397 1.507 0.033
H 0.957 -1.953 0.574
H -0.645 -0.866 -0.438
H -1.643 1.192 -2.320
H -0.633 -0.096 -2.541
H -1.604 0.780 0.073
H -2.367 -0.565 -0.763
H 0.063 -0.476 1.952
H 1.736 -0.068 2.348
H 0.514 1.211 2.280

Atomic forces in eV per Å
1.497 0.075 0.563
0.659 -1.582 -0.041
-0.531 -0.131 -0.441
1.182 -1.561 -0.136
-0.002 0.323 -0.405
-1.853 1.005 0.240
0.110 0.011 -0.100
-0.171 0.470 0.056
-1.291 1.659 0.267
0.058 -0.140 -0.097
-0.077 0.113 -0.011
0.306 -0.267 0.313
-0.027 0.137 -0.082
0.026 0.037 0.031
0.081 -0.050 -0.065
0.032 -0.101 -0.092

The total energy is -304.86406 hartree. The strongest force on any atom is 2.122 eV/A. Its HOMO energy (alpha / beta) is -8.2 / -7.7 eV. The relative energy (zero: lowest compared OMol25 entry of this formula, charge and spin) comes out at 132.1 kcal/mol. The HOMO-LUMO gap (alpha / beta) is 8.7 / 7.9 eV. Its LUMO energy (alpha / beta) is 0.428 / 0.157 eV.

Here are the natural (NBO) charges for atoms 1 to 5, given in e: number 1, C, carries 0.28; number 2, C, carries -0.45; number 3, C, carries -0.73; number 4, N, carries -0.49; number 5, N, carries -0.85


Molecular formula: C13H14F3IN2O3ReS
Method: DFT, ωB97M-V with the def2-TZVPD basis set

Element x y z (Å)
C 1.267 2.638 0.824
C 2.863 1.203 0.239
H 1.837 3.434 0.395
H 1.499 2.546 1.868
H 0.226 2.581 0.584
H 2.773 0.402 -0.397
H 3.484 1.970 -0.159
H 3.132 0.954 1.238
C -2.211 1.449 -0.395
C -3.537 1.257 -0.794
C -3.864 0.113 -1.519
C -2.881 -0.801 -1.808
H -1.895 2.312 0.186
H -4.262 2.009 -0.516
H -4.875 -0.054 -1.858
H -3.052 -1.722 -2.368
N -1.255 0.554 -0.671
C -1.561 -0.561 -1.401
C -0.456 -1.482 -1.608
N 0.734 -1.095 -1.094
C 1.776 -1.953 -1.081
C 0.491 -3.596 -2.280
C 1.672 -3.200 -1.682
H 2.677 -1.583 -0.594
H 2.557 -3.836 -1.661
C -0.603 -2.738 -2.225
H -1.564 -2.973 -2.646
H 0.391 -4.555 -2.762
Re 0.940 0.998 -0.345
I 1.169 2.045 -2.583
F -0.436 0.382 4.941
C 0.426 -0.020 3.983
F 1.479 0.843 4.013
F 0.866 -1.276 4.261
S -0.338 0.034 2.283
O -1.170 -1.192 2.120
O -0.978 1.289 2.220
O 0.942 -0.003 1.451

Atomic forces in eV per Å
2.732 0.707 1.518
2.740 3.083 2.215
0.007 0.530 -0.394
-0.463 -0.032 0.479
-1.856 0.836 0.168
1.043 -2.765 -1.923
0.534 0.375 -0.419
0.052 -0.331 0.611
-0.548 -0.155 -0.066
0.665 0.031 0.164
-0.289 0.700 0.328
1.677 -0.711 -0.235
-0.346 -0.146 -0.148
-0.092 -0.094 -0.109
-0.093 -0.008 0.044
-0.361 0.474 0.208
0.476 -0.049 -0.861
-1.087 0.928 0.629
0.325 -0.995 -0.253
0.626 0.268 0.563
-0.493 0.059 -0.394
-0.583 0.419 0.064
1.031 0.146 0.475
-0.115 -0.464 -0.206
-0.332 0.059 -0.064
0.535 1.057 0.484
0.020 -0.337 -0.076
0.098 -0.137 -0.036
-5.376 -3.854 -1.973
-0.027 0.388 -0.685
0.711 -0.663 -1.526
0.643 -0.428 1.787
-0.716 -0.729 -0.330
-0.557 1.679 -0.516
-2.701 -5.087 2.065
2.513 3.167 -0.010
-0.381 1.787 -0.568
-0.016 0.293 -1.008

The total energy is -1912.01713 hartree. The strongest force on any atom is 6.903 eV/A. Its HOMO energy (alpha / beta) is -16.2 / -16.2 eV. The multiplicity is 4. The total charge is +2. The relative energy (zero: lowest compared OMol25 entry of this formula, charge and spin) comes out at 72.4 kcal/mol. The HOMO-LUMO gap (alpha / beta) is 5.4 / 5.9 eV. Its LUMO energy (alpha / beta) is -10.857 / -10.348 eV.

Here are the Löwdin charges for atoms 1 to 5, given in e: number 1, C, carries -0.11; number 2, C, carries -0.16; number 3, H, carries 0.07; number 4, H, carries 0.09; number 5, H, carries 0.01


Repeat the second record exactly.
Molecular formula: C13H14F3IN2O3ReS
Method: DFT, ωB97M-V with the def2-TZVPD basis set

Element x y z (Å)
C 1.267 2.638 0.824
C 2.863 1.203 0.239
H 1.837 3.434 0.395
H 1.499 2.546 1.868
H 0.226 2.581 0.584
H 2.773 0.402 -0.397
H 3.484 1.970 -0.159
H 3.132 0.954 1.238
C -2.211 1.449 -0.395
C -3.537 1.257 -0.794